## Job
What is needed: return the rows further down with every line break kept.

## Source
/*
# 1
# C3H8N4O

C3H8N4O in the gas phase (ωB97M-V/def2-TZVPD, the OMol25 dataset).

Bonds (Å) are listed after each position.
Cartesian coordinates (Å):
1 C 0.65337 0.39533 -0.27276  C2 1.556, C3 1.472, N5 1.446, H9 1.116
2 C -0.24526 -0.78944 0.18389  C1 1.556, N6 1.728, N7 1.468, H10 1.065
3 C 1.52643 0.79698 0.84235  C1 1.472, H11 1.013, H12 1.123, H13 1.077
4 N -1.54329 1.18594 -0.32239  N5 1.325, N6 1.202
5 N -0.27213 1.46564 -0.56879  C1 1.446, N4 1.325, H14 1.094
6 N -1.73072 0.09337 0.14237  C2 1.728, N4 1.202, O8 1.192
7 N -0.26751 -1.88947 -0.78831  C2 1.468, H15 0.951, H16 1.068
8 O -2.68939 -0.35332 0.69215  N6 1.192
9 H 1.23162 0.16614 -1.19970  C1 1.116
10 H 0.01551 -1.15671 1.14869  C2 1.065
11 H 2.10443 1.59788 0.61853  C3 1.013
12 H 2.05071 -0.04319 1.37110  C3 1.123
13 H 0.84392 1.12267 1.60887  C3 1.077
14 H -0.31018 2.07076 -1.47943  N5 1.094
15 H -0.45021 -2.70919 -0.34306  N7 0.951
16 H -0.91729 -1.95337 -1.63352  N7 1.068

As for the total energy: -413.2102 hartree. As for the energy above the lowest of the compared OMol25 structures with the same formula, charge and spin: 540.6 kJ/mol. The calculation puts the molar mass at 116.1 g/mol. As for the net charge: 0. As for the gap between HOMO and LUMO: 9.0 eV. The max |F| is 5.925 eV/Å. The SMILES is C[C@@H]1NN=[N+]([O-])[C@H]1N.

***

# 2
# C3H8N4O

C3H8N4O in the gas phase (ωB97M-V/def2-TZVPD, the OMol25 dataset).

Bonds (Å) are listed after each position.
Cartesian coordinates (Å):
1 C -0.94087 2.09710 0.19773  C4 1.484, H14 1.091, H15 1.096, H16 1.093
2 N 0.70945 -1.08052 0.00857  C3 1.655, N5 1.394, N7 1.679, H10 1.021
3 C -0.49272 -0.38089 0.90592  N2 1.655, C4 1.372, N8 1.265
4 C -0.40115 0.71940 0.09073  C1 1.484, C3 1.372, N7 1.417
5 N 0.49351 -2.39816 -0.39353  N2 1.394, H11 1.016, H12 1.016
6 O 1.59565 1.14186 -1.07263  N7 1.464, H9 0.969
7 N 0.43053 0.26182 -0.96093  N2 1.679, C4 1.417, O6 1.464
8 N -1.22483 -0.94120 1.77282  C3 1.265, H13 1.016
9 H 1.84110 1.04664 -2.00500  O6 0.969
10 H 1.67526 -0.93619 0.30538  N2 1.021
11 H -0.50497 -2.58177 -0.43489  N5 1.016
12 H 0.88932 -2.55237 -1.31700  N5 1.016
13 H -0.80825 -1.76653 2.19312  N8 1.016
14 H -1.50365 2.18625 1.12845  C1 1.091
15 H -1.61573 2.34130 -0.63080  C1 1.096
16 H -0.14266 2.84325 0.21205  C1 1.093

As for the total energy: -413.1617 hartree. As for the energy above the lowest of the compared OMol25 structures with the same formula, charge and spin: 667.8 kJ/mol. The calculation puts the molar mass at 116.1 g/mol. As for the net charge: 0. As for the gap between HOMO and LUMO: 7.5 eV. The max |F| is 1.245 eV/Å.

***

Q: Which value of total energy does entry 1 give?
A: -413.2102 hartree

* * * * *

# 1
Below is a 11-piece molecular cluster, C22H66O11 overall at a distorted geometry, with properties calculated with ωB97M-V/def2-TZVPD.

CARTESIAN COORDINATES (ANGSTROEM)
C -3.4867 -2.3409 1.2676
C -3.6010 -3.7678 0.8045
O -4.2798 -4.5973 1.7542
H -4.4721 -1.8893 1.3954
H -2.8406 -1.7343 0.6345
H -3.0409 -2.2879 2.2708
H -2.6133 -4.1937 0.5895
H -4.1537 -3.8427 -0.1331
H -3.6298 -4.8891 2.3993
C -1.5970 4.3785 -3.7207
C -0.7051 3.3211 -3.1392
O -1.4345 2.5583 -2.1623
H -2.5422 4.0040 -4.1123
H -1.0542 4.8874 -4.5237
H -1.8595 5.1479 -2.9893
H 0.1680 3.7687 -2.6604
H -0.3653 2.6443 -3.9313
H -0.8076 1.9786 -1.7104
C -1.6794 3.0582 4.4987
C -0.7019 2.3593 3.5669
O -0.3212 1.0799 4.0430
H -2.1680 3.8979 3.9935
H -1.2172 3.4458 5.4062
H -2.4867 2.3842 4.7969
H 0.1984 2.9520 3.4195
H -1.1642 2.2897 2.5719
H -1.0235 0.4544 3.8454
C -5.8557 0.4494 -1.4952
C -4.5352 1.1491 -1.2879
O -4.0393 1.5900 -2.5432
H -6.2292 0.0512 -0.5503
H -5.7267 -0.4044 -2.1671
H -6.5932 1.1081 -1.9511
H -3.8370 0.4489 -0.7999
H -4.6609 1.9927 -0.5954
H -3.1377 1.9249 -2.4143
C 0.6486 -4.2295 0.8994
C 0.7998 -5.7045 0.6979
O -0.1959 -6.3179 1.5036
H -0.3422 -3.8989 0.5984
H 1.4398 -3.6413 0.4309
H 0.7925 -4.0201 1.9661
H 1.8078 -6.0227 0.9759
H 0.6112 -5.9420 -0.3569
H -0.1343 -7.2744 1.4319
C 2.9049 3.1525 2.4167
*/

## Result
# 1
# C3H8N4O

C3H8N4O in the gas phase (ωB97M-V/def2-TZVPD, the OMol25 dataset).

Bonds (Å) are listed after each position.
Cartesian coordinates (Å):
1 C 0.65337 0.39533 -0.27276  C2 1.556, C3 1.472, N5 1.446, H9 1.116
2 C -0.24526 -0.78944 0.18389  C1 1.556, N6 1.728, N7 1.468, H10 1.065
3 C 1.52643 0.79698 0.84235  C1 1.472, H11 1.013, H12 1.123, H13 1.077
4 N -1.54329 1.18594 -0.32239  N5 1.325, N6 1.202
5 N -0.27213 1.46564 -0.56879  C1 1.446, N4 1.325, H14 1.094
6 N -1.73072 0.09337 0.14237  C2 1.728, N4 1.202, O8 1.192
7 N -0.26751 -1.88947 -0.78831  C2 1.468, H15 0.951, H16 1.068
8 O -2.68939 -0.35332 0.69215  N6 1.192
9 H 1.23162 0.16614 -1.19970  C1 1.116
10 H 0.01551 -1.15671 1.14869  C2 1.065
11 H 2.10443 1.59788 0.61853  C3 1.013
12 H 2.05071 -0.04319 1.37110  C3 1.123
13 H 0.84392 1.12267 1.60887  C3 1.077
14 H -0.31018 2.07076 -1.47943  N5 1.094
15 H -0.45021 -2.70919 -0.34306  N7 0.951
16 H -0.91729 -1.95337 -1.63352  N7 1.068

As for the total energy: -413.2102 hartree. As for the energy above the lowest of the compared OMol25 structures with the same formula, charge and spin: 540.6 kJ/mol. The calculation puts the molar mass at 116.1 g/mol. As for the net charge: 0. As for the gap between HOMO and LUMO: 9.0 eV. The max |F| is 5.925 eV/Å. The SMILES is C[C@@H]1NN=[N+]([O-])[C@H]1N.

***

# 2
# C3H8N4O

C3H8N4O in the gas phase (ωB97M-V/def2-TZVPD, the OMol25 dataset).

Bonds (Å) are listed after each position.
Cartesian coordinates (Å):
1 C -0.94087 2.09710 0.19773  C4 1.484, H14 1.091, H15 1.096, H16 1.093
2 N 0.70945 -1.08052 0.00857  C3 1.655, N5 1.394, N7 1.679, H10 1.021
3 C -0.49272 -0.38089 0.90592  N2 1.655, C4 1.372, N8 1.265
4 C -0.40115 0.71940 0.09073  C1 1.484, C3 1.372, N7 1.417
5 N 0.49351 -2.39816 -0.39353  N2 1.394, H11 1.016, H12 1.016
6 O 1.59565 1.14186 -1.07263  N7 1.464, H9 0.969
7 N 0.43053 0.26182 -0.96093  N2 1.679, C4 1.417, O6 1.464
8 N -1.22483 -0.94120 1.77282  C3 1.265, H13 1.016
9 H 1.84110 1.04664 -2.00500  O6 0.969
10 H 1.67526 -0.93619 0.30538  N2 1.021
11 H -0.50497 -2.58177 -0.43489  N5 1.016
12 H 0.88932 -2.55237 -1.31700  N5 1.016
13 H -0.80825 -1.76653 2.19312  N8 1.016
14 H -1.50365 2.18625 1.12845  C1 1.091
15 H -1.61573 2.34130 -0.63080  C1 1.096
16 H -0.14266 2.84325 0.21205  C1 1.093

As for the total energy: -413.1617 hartree. As for the energy above the lowest of the compared OMol25 structures with the same formula, charge and spin: 667.8 kJ/mol. The calculation puts the molar mass at 116.1 g/mol. As for the net charge: 0. As for the gap between HOMO and LUMO: 7.5 eV. The max |F| is 1.245 eV/Å.

***

Q: Which value of total energy does entry 1 give?
A: -413.2102 hartree

* * * * *

# 1
Below is a 11-piece molecular cluster, C22H66O11 overall at a distorted geometry, with properties calculated with ωB97M-V/def2-TZVPD.

CARTESIAN COORDINATES (ANGSTROEM)
C -3.4867 -2.3409 1.2676
C -3.6010 -3.7678 0.8045
O -4.2798 -4.5973 1.7542
H -4.4721 -1.8893 1.3954
H -2.8406 -1.7343 0.6345
H -3.0409 -2.2879 2.2708
H -2.6133 -4.1937 0.5895
H -4.1537 -3.8427 -0.1331
H -3.6298 -4.8891 2.3993
C -1.5970 4.3785 -3.7207
C -0.7051 3.3211 -3.1392
O -1.4345 2.5583 -2.1623
H -2.5422 4.0040 -4.1123
H -1.0542 4.8874 -4.5237
H -1.8595 5.1479 -2.9893
H 0.1680 3.7687 -2.6604
H -0.3653 2.6443 -3.9313
H -0.8076 1.9786 -1.7104
C -1.6794 3.0582 4.4987
C -0.7019 2.3593 3.5669
O -0.3212 1.0799 4.0430
H -2.1680 3.8979 3.9935
H -1.2172 3.4458 5.4062
H -2.4867 2.3842 4.7969
H 0.1984 2.9520 3.4195
H -1.1642 2.2897 2.5719
H -1.0235 0.4544 3.8454
C -5.8557 0.4494 -1.4952
C -4.5352 1.1491 -1.2879
O -4.0393 1.5900 -2.5432
H -6.2292 0.0512 -0.5503
H -5.7267 -0.4044 -2.1671
H -6.5932 1.1081 -1.9511
H -3.8370 0.4489 -0.7999
H -4.6609 1.9927 -0.5954
H -3.1377 1.9249 -2.4143
C 0.6486 -4.2295 0.8994
C 0.7998 -5.7045 0.6979
O -0.1959 -6.3179 1.5036
H -0.3422 -3.8989 0.5984
H 1.4398 -3.6413 0.4309
H 0.7925 -4.0201 1.9661
H 1.8078 -6.0227 0.9759
H 0.6112 -5.9420 -0.3569
H -0.1343 -7.2744 1.4319
C 2.9049 3.1525 2.4167